Discussion for article #234299
Go get 'em, Anne, and if there’s any justice in the world (there mostly isn’t) Fox will be paying gobs of money over to an actual real Socialist politician and her espresso-sipping city. I would LOVE IT.
Ahh…nothing like the sound of Ailes’ and Murdoch’s nuts in a vise. Bankrupt the bastards!
(Molecular data, kept here for reference)
- - -
DFT (ωB97M-V/def2-TZVPD) results for 2 unconnected molecules or ions with the total composition C11H15N.

Geometry as XYZ:
```
27
Properties=species:S:1:pos:R:3
H -1.305 -0.708 -3.690
H 2.962 -0.046 1.898
C -1.581 -0.371 -1.593
H 0.798 2.698 0.641
N 0.184 1.904 0.548
H -2.431 -0.557 2.512
H 0.500 0.637 -3.936
C -1.092 0.406 -0.502
H 2.528 -2.170 0.182
C 0.603 1.498 -1.927
H 1.369 -0.483 2.408
C 2.266 -0.880 1.925
H -2.214 -1.602 1.016
C -2.426 -0.612 1.421
H 2.744 -1.753 2.362
C 1.889 -1.329 0.509
H 0.896 -1.740 0.572
C 0.131 0.682 -2.909
C -1.391 0.348 0.891
C -1.055 -0.104 -2.834
H -0.425 1.611 2.502
H -2.300 -1.171 -1.457
C -0.094 1.394 -0.717
H 1.909 -0.601 -0.305
H 1.505 2.091 -2.026
H -3.411 -0.369 1.005
C -0.559 1.230 1.503
```

* charge: 0
* relative energy (zero: lowest compared OMol25 entry of this formula, charge and spin): 16.74 kcal/mol
* Kohn-Sham gap: 8.813 eV
* SMILES: Cc1c[nH]c2ccccc12.CC
* HOMO level: -7.881 eV
* calculated total energy: -13140.066 eV

=====

(1)
Computed, not measured: 3 unconnected molecules or ions with the total composition C2H9NO3, with ωB97M-V with the def2-TZVPD basis set.

Structure (XYZ):
```
15
Properties=species:S:1:pos:R:3:forces:R:3
C -2.4108 0.6455 0.0131 -0.94 1.76 -0.27
C -0.9380 0.4212 -0.1166 2.23 0.81 -0.21
N -0.5362 -0.9075 -0.1742 1.79 -0.93 1.34
O -0.1249 1.3498 -0.3100 -1.63 -1.79 0.55
H -2.8549 0.8426 1.0309 1.10 0.06 -0.79
H -2.6203 1.5699 -0.6661 -0.03 -1.87 1.19
H -2.9048 -0.2648 -0.2867 -0.48 -0.04 -0.61
H 0.5141 -1.1131 -0.0040 -2.49 0.84 -0.63
H -1.1196 -1.6560 0.2523 0.45 1.18 -0.60
O 4.0126 -3.1947 -1.6793 -0.51 0.02 0.62
H 4.5765 -2.5916 -1.1410 -0.13 -0.91 -1.63
H 4.2907 -3.4891 -2.5661 0.62 0.89 1.02
O 0.1238 2.7865 2.3209 -1.86 -0.02 -0.57
H 0.6815 2.8781 1.5649 1.53 0.04 -0.61
H -0.6897 2.7232 1.7620 0.35 -0.08 1.17
```
Forces are in eV/Å.

Values from the calculation:
Highest occupied orbital energy (Ha): -0.373
Orbital gap (eV): 10.8
E_tot (eV): -9852.365
Relative energy (zero: lowest compared OMol25 entry of this formula, charge and spin) (kJ/mol): 123.6
E_LUMO (eV): 0.7


(2)
Computed, not measured: a single C10H15P molecule, with ωB97M-V with the def2-TZVPD basis set.

Structure (XYZ):
```
26
Properties=species:S:1:pos:R:3:forces:R:3
C 1.4045 -0.2402 -1.8582 -1.73 -4.09 -7.72
C 1.4197 0.4550 -0.7400 -0.63 3.51 9.08
C -0.6708 -0.5892 0.0680 0.89 1.95 1.38
C -0.8026 -1.2914 -1.0158 -1.33 -3.59 -3.25
C -0.6867 1.1684 -1.5487 0.40 2.15 -1.39
C -0.0173 0.7438 -0.2142 0.38 0.80 -1.76
C 2.6078 0.8658 0.0298 0.70 -0.63 -0.19
C -1.0770 -0.9041 1.4365 -1.59 -0.05 -0.55
C -1.3620 -2.7741 -1.0632 0.42 2.13 2.52
C -0.0958 1.7573 0.8611 2.48 2.05 2.18
P -0.2888 -0.3337 -2.5339 0.04 -0.51 0.32
H 2.1957 -0.7006 -2.3859 0.81 -0.51 -0.07
H -1.7567 1.4153 -1.4125 0.42 -0.35 -0.20
H -0.1895 2.0615 -2.1614 -0.80 -1.48 1.70
H 2.7391 1.8655 -0.2879 0.64 1.79 0.01
H 3.5483 0.3860 -0.2573 -0.24 -0.35 -0.25
H 2.6270 0.8602 1.1219 -0.66 -0.05 -0.03
H -0.2640 -1.0318 2.0629 1.67 -0.27 1.49
- - -
Let the lawsuits begin!
¨Paris Mayor: ‘What Fox News Did Was to Lie’ ¨
Bienvenue chez nous, Madame le Maire.
It’s smart she’s going after Faux on her home turf. Any French judgment only carries weight in France, where no American network has news bureaus. Had she tried to do it Stateside, she would have armed wing nuts tailing her for the rest of her life.
…or reanimate Mme. Defarge and the Tricoteuse.
Sorry, but Fox won the lawsuit in 2003 giving them the right to pretty much lie with impunity.
Fox being anti truth, anti science, anti people of color…thats who they are…and they are proud of it
BTW here’s a great French takedown of the whole idea. They sent camera crews to the supposed “no-go zones” with results you might expect. It’s actually a nice visit to some non-touristy arrondissements, talking with everyday Parisians. Check it out:
I wonder how many times the words “Fox News lied” have been uttered? It seems fitting on Pi Day to wonder how high that number goes.
When will an American elected official be brave enough to say the same thing?
On that day, the judges should have forced Fox News to change their tagline to “We Lie, You Decide”.
-- Quantum chemistry results from another source follow --
'''
1.
Here is a structure of composition C29H25Cl5GeMnN5O3S at a distorted geometry from OMol25. Energies are from ωB97M-V/def2-TZVPD.

- total energy (Eh) = -7546.89876
- 2S+1 = 6
- HOMO-LUMO gap (alpha / beta) (eV) = 6.29 / 6.50
- <S²> = 8.805
- highest occupied orbital energy (alpha / beta) (eV) = -4.45 / -4.69
- net charge = -1

Element x y z (Å)
Mn1 -1.661 0.105 0.417
N1 -6.633 -1.109 -4.533
C1 -5.267 -1.081 -4.283
C2 -4.463 -0.091 -4.849
C3 -3.106 -0.060 -4.591
C4 -2.532 -1.028 -3.780
C5 -3.311 -2.057 -3.265
C6 -4.667 -2.084 -3.517
S1 -0.849 -0.816 -3.262
O1 -0.460 0.507 -3.757
O2 -0.007 -1.862 -3.759
N2 -0.858 -0.779 -1.620
C7 -0.874 -1.921 -0.924
N3 -0.967 -1.724 0.434
C8 -0.878 -2.789 1.219
C9 -0.708 -4.059 0.713
C10 -0.733 -4.175 -0.674
N4 -0.825 -3.138 -1.483
H1 -7.033 -0.232 -4.823
H2 -7.187 -1.589 -3.844
H3 -4.908 0.680 -5.466
H4 -2.489 0.719 -5.023
H5 -2.847 -2.830 -2.674
H6 -5.282 -2.865 -3.087
H7 -0.961 -2.612 2.285
H8 -0.607 -4.913 1.364
H9 -0.693 -5.146 -1.158
Cl1 -2.743 4.796 -0.231
C11 -1.694 4.137 0.976
C12 -0.996 4.973 1.844
C13 -0.138 4.409 2.764
Cl2 0.694 5.470 3.866
C14 0.085 3.033 2.841
C15 0.951 2.366 3.795
C16 1.097 1.042 3.764
C17 0.426 0.139 2.747
N5 -0.492 0.852 1.849
C18 -0.601 2.208 1.937
C19 -1.516 2.764 1.019
O3 -2.130 1.887 0.223
H10 -1.123 6.043 1.774
H11 1.471 2.962 4.536
H12 1.734 0.528 4.473
H13 -0.179 -0.586 3.318
C20 2.410 -1.202 -0.196
C21 2.486 -0.247 1.010
C22 2.279 1.178 0.485
C23 1.459 -0.685 2.023
C24 3.846 -0.381 1.722
C25 4.259 0.584 2.643
C26 5.452 0.458 3.335
C27 6.282 -0.632 3.113
C28 5.892 -1.595 2.197
C29 4.686 -1.475 1.519
H14 1.499 -1.000 -0.757
H15 2.389 -2.249 0.114
H16 3.258 -1.038 -0.864
H17 1.336 1.246 -0.055
H18 3.083 1.439 -0.206
H19 2.259 1.918 1.284
H20 1.575 -1.709 2.368
H21 3.636 1.447 2.832
H22 5.736 1.217 4.055
H23 7.222 -0.725 3.643
H24 6.531 -2.448 2.002
H25 4.409 -2.255 0.823
Cl3 0.484 3.109 -2.370
Ge1 -1.496 2.383 -3.091
Cl4 -3.690 -0.618 0.045
Cl5 -1.321 3.209 -5.230

Forces on the atoms, in the same order (eV/Å):
0.521 2.085 0.978
-0.001 -0.050 -0.076
0.147 -0.005 -0.101
-0.067 -0.023 0.010
0.055 0.023 -0.037
0.127 0.181 0.317
0.009 0.017 -0.066
-0.005 -0.003 0.023
0.318 -0.679 -0.010
-0.366 0.493 0.616
-0.097 -0.053 -0.074
-0.223 0.419 -0.522
0.197 -0.367 -0.169
0.363 -0.960 -0.904
-0.052 0.000 0.241
0.037 0.003 0.113
-0.005 0.267 -0.031
-0.029 -0.419 0.260
-0.035 0.017 0.051
-0.028 0.032 0.029
0.003 -0.009 -0.019
-0.094 -0.015 -0.021
-0.030 -0.034 0.131
0.021 -0.022 -0.023
-0.001 0.046 -0.004
-0.036 -0.005 0.000
0.010 -0.030 0.045
-0.095 0.106 -0.019
0.146 -0.454 -0.043
-0.030 0.106 -0.006
-0.126 -0.110 -0.136
0.125 0.166 0.144
-0.142 -0.103 -0.211
0.111 -0.146 0.072
-0.159 0.042 -0.021
-0.077 -0.152 -0.254
-0.143 -0.534 -0.236
-0.135 0.645 -0.038
0.238 -0.114 0.057
0.031 0.016 -0.356
0.016 -0.002 0.060
0.012 -0.022 0.011
0.026 0.054 0.046
0.131 -0.025 0.056
-0.085 0.086 0.065
0.077 -0.073 0.052
-0.004 -0.036 0.072
-0.066 -0.066 0.032
0.023 0.026 -0.072
0.022 0.019 0.018
'''
-- The quantum chemistry results stop here --
I used to teach minority students born between 1955 and 1988. The wheelhouse of the Second Reconstruction. In the early parts of that era, especially, some of them would act toward well-meaning white students as abrasively as, well, what many of us saw in films made during that time. I would sometimes say to my students variants of this,
"You are encountering people who, because of the aura of the Movement, the 1960s, the configuration of the media at this time, are fairly receptive and amenable to the minority experience. However, the majority population has numbers, power, capital and influence. Most of the time one of us can get some sort of contrite response by mentioning our hardships and a common reply will be some sort of disclaimer of prejudice and racism. However, throughout history, there have been majority populations who have cheerfully and enthusiastically proclaimed, ‘Yes, I really do not care for you or the group you represent.’ "
_Between two parts of the entry: calculated molecules_
Density functional theory data (wB97M-V/def2-TZVPD) for a cluster of 7 separate species, C33H77B2BrFN2O11S in total.

Structure (XYZ):
```
128
Properties=species:S:1:pos:R:3:forces:R:3:mulliken_charge:R:1
C 8.683 2.395 0.834 0.071 -0.062 0.075 -0.572
O 8.278 2.291 -0.513 -0.205 0.109 0.095 -0.506
C 7.653 1.065 -0.816 0.101 -0.266 -0.005 -0.241
C 8.617 -0.131 -0.868 -0.233 0.105 -0.045 -0.119
C 8.297 -1.113 -2.003 0.214 -0.239 0.249 -1.118
C 7.268 -2.190 -1.620 -0.407 0.210 0.044 -0.682
C 5.842 -1.881 -2.112 0.322 0.009 0.244 0.030
C 5.010 -3.143 -2.319 -0.008 0.206 -0.001 -0.851
C 3.592 -2.909 -2.891 0.141 -0.362 -0.034 -0.793
C 2.440 -3.410 -1.992 -0.041 -0.078 -0.198 -1.654
C 1.771 -2.334 -1.132 0.347 0.383 0.467 -0.747
B 2.872 -1.283 -0.549 0.187 0.023 -0.308 0.692
O 3.051 -0.122 -1.220 -0.508 0.276 0.454 -0.590
O 3.578 -1.544 0.596 0.123 -0.124 -0.332 -0.548
N 1.090 -2.881 0.115 -0.092 -0.111 -0.173 0.285
Br 1.780 -4.296 1.093 0.016 -0.008 0.021 0.090
C 0.008 -2.293 0.463 0.172 -0.268 0.023 -1.444
B -0.793 -2.634 1.821 -0.022 -0.055 0.259 0.610
C -0.305 -1.997 3.156 -0.040 0.184 -0.048 -0.843
O -1.841 -3.483 1.699 -0.224 0.747 -0.571 -0.588
C -0.393 -1.231 -0.561 0.058 -0.517 0.711 2.402
C -1.912 -1.470 -0.747 -0.129 0.218 -0.366 -1.750
C -2.584 -0.886 -2.008 -0.026 -0.077 0.104 -0.955
C -3.870 -0.132 -1.696 0.104 -0.044 -0.064 -0.658
O -4.945 -1.057 -1.616 -0.158 0.072 0.104 -0.377
C -5.752 -0.897 -0.463 -0.073 -0.014 0.030 -0.813
C -0.006 0.146 0.057 0.189 0.150 -0.381 -0.396
C -1.021 1.267 -0.154 -0.083 -0.215 0.280 -0.179
C -1.868 1.652 1.021 0.173 0.206 -0.198 -1.392
N -1.143 1.882 -1.248 0.017 0.181 -0.281 -0.572
C 0.499 -1.708 -1.753 -0.476 -0.421 -0.275 1.494
F -0.227 -2.793 -2.263 0.015 -0.041 -0.145 -0.423
S 0.862 -0.628 -3.143 0.271 0.412 0.013 -0.158
H 9.647 1.905 1.009 -0.032 0.000 -0.011 0.242
H 8.767 3.453 1.076 0.063 -0.023 -0.042 0.285
H 7.948 1.936 1.508 -0.019 0.034 -0.041 0.170
H 7.171 1.197 -1.788 0.047 0.104 0.023 0.327
H 6.868 0.866 -0.067 -0.069 0.062 -0.089 0.215
H 8.580 -0.652 0.091 0.246 -0.001 -0.117 -0.142
H 9.635 0.248 -0.989 -0.075 0.118 -0.059 0.440
H 9.226 -1.603 -2.300 -0.031 -0.013 -0.006 0.345
H 7.943 -0.561 -2.879 0.094 -0.042 -0.034 0.492
H 7.225 -2.247 -0.527 0.139 -0.217 -0.027 0.217
H 7.564 -3.182 -1.971 0.079 0.093 -0.122 0.579
H 5.378 -1.230 -1.366 -0.092 0.084 -0.195 -0.132
H 5.898 -1.311 -3.044 -0.128 -0.091 -0.036 0.326
H 4.960 -3.707 -1.377 -0.011 0.016 -0.020 0.350
H 5.565 -3.783 -3.009 -0.037 -0.052 0.055 0.457
H 3.464 -1.865 -3.180 -0.049 -0.007 0.060 0.399
H 3.515 -3.482 -3.814 -0.057 0.125 -0.055 0.545
H 1.690 -3.912 -2.601 -0.095 0.084 0.078 0.424
H 2.849 -4.182 -1.337 -0.029 0.056 0.047 0.583
H 3.530 0.549 -0.711 0.297 -0.171 -0.263 0.298
H 3.932 -2.442 0.637 -0.184 0.067 0.313 0.321
H -0.980 -2.206 3.986 -0.002 0.077 -0.008 0.365
H 0.671 -2.424 3.417 -0.026 -0.007 -0.054 0.296
H -0.136 -0.920 3.077 -0.056 -0.005 0.094 0.267
H -2.614 -3.203 2.211 0.236 -0.599 0.376 0.328
FOX is moving us, in an ever-increasing arc, toward this reality.
“And we should not accept this type of talk that only adds difficulty.”
Most Americans don’t either.
We just have this problem of runaway capitalism fueling a corrupt political party.
Thanks for a link to a diary whose first sentence is “The premise of this diary has been debunked by Snopes.”
An irrational number to match the tenor of their reporting?
FOX News ONLY exists due to lies, distortions, half-truths and nonsense. They have nothing else to offer and their sheeple FOXbot scum audience demands nothing more.
FOX…“We distort__ You comply.” _Check our facts at : w w w: madeupshit.com
What Fox News DOES Is To Lie!
Fox news response,“We will continue to lie, and lie again, and lie AGAIN, until reality is what we say it is. Oh and by the way, we are still at war with East Asia.”